Matter feedback and communication - Why and how

Seeking feedback and communicating with your client - at every stage of the matter - saves you time and money while delighting your client

Matter-focused feedback

Typically firms collect client satisfaction (for major ones at least) on an annual basis in a standardized way (click here for Lex Mundi resources).

Matter-focused communication and feedback is different; it occurs:

  • With every client
  • For every significant matter
  • Tailored to the type of work and the client's preferences


You are very busy; and so is your client. You probably believe you already know the scope of work; and imagine that - if there is something specific they want or if they want things done differently - they will ask you.

So why do you need to do more?

You don't need to do more!

## Calculated crystals from another source follow
'''
[1]
Sb2AuSe | Alexandria via LeMat-Bulk | PBE | relaxed; SG = P2/m, No. 10; total DFT energy (no corrections) = -3.775 eV per atom; size of the total moment = 0.00 μB per cell; formation energy from raw total energies = -0.024 eV/atom
1.0
3.975 0.000 0.000
0.000 3.008 -0.029
0.000 -2.996 8.516
Se Sb Au
1 2 1
Cartesian
1.988 0.003 2.122
0.000 0.017 4.381
0.000 -0.001 8.349
1.988 0.008 6.365

[2]
SbPSCl2 | Alexandria via LeMat-Bulk | PBE | relaxed; SG = P4/mmm, No. 123; total DFT energy (no corrections) = -3.232 eV per atom; size of the total moment = 0.00 μB per cell; ΔE to the lowest computed polymorph = 0 meV/atom; formation energy from raw total energies = 0.238 eV/atom
1.0
4.708 0.000 0.000
0.000 4.708 0.000
0.000 0.000 4.931
S Sb Cl P
1 1 2 1
Cartesian
0.000 0.000 2.465
2.354 2.354 2.465
2.354 0.000 0.000
0.000 2.354 0.000
0.000 0.000 0.000

[3]
TbYTmSc | Alexandria via LeMat-Bulk | PBE | relaxed; SG = F-43m, No. 216; total DFT energy (no corrections) = -5.356 eV per atom; size of the total moment = 0.00 μB per cell; ΔE to the lowest computed polymorph = 71 meV/atom; calculated formation energy = 118 meV per atom
1.0
-5.357 -1.065 0.851
-1.995 -5.068 -0.945
-1.543 -3.198 4.237
Y Tb Sc Tm
1 1 1 1
Cartesian
-6.672 -6.998 3.107
-2.224 -2.333 1.036
0.000 0.000 0.000
-4.448 -4.665 2.071

[4]
BaGaTeRh2 | Alexandria via LeMat-Bulk | PBE | relaxed; SG = P4/mmm, No. 123; total DFT energy (no corrections) = -4.172 eV per atom; size of the total moment = 0.00 μB per cell; formation energy from raw total energies = 0.387 eV/atom
1.0
4.951 0.000 0.000
0.000 6.357 0.000
0.000 0.000 4.951
Ba Rh Ga Te
1 2 1 1
Cartesian
0.000 3.178 0.000
2.476 0.000 0.000
0.000 0.000 2.476
2.476 3.178 2.476
0.000 0.000 0.000

[5]
UCuPd | Alexandria via LeMat-Bulk | PBE | relaxed; SG = I4mm, No. 107; total DFT energy (no corrections) = -6.881 eV per atom; size of the total moment = 2.53 μB per cell; ΔE to the lowest computed polymorph = 0 meV/atom; calculated formation energy = -22 meV per atom
1.0
-0.057 2.550 -1.902
-2.438 1.187 1.664
4.620 0.586 3.309
Pd Cu U
1 1 1
Cartesian
-0.013 2.767 1.049
2.138 1.556 2.023
2.123 4.323 3.070

[6]
Y6Ag5Pb | Alexandria via LeMat-Bulk | PBE | relaxed; SG = Immm, No. 71; total DFT energy (no corrections) = -5.088 eV per atom; size of the total moment = 0.00 μB per cell; calculated formation energy = -359 meV per atom
1.0
4.984 0.020 -1.454
-1.014 6.485 -3.377
-0.075 0.483 9.016
Y Ag Pb
6 5 1
Cartesian
4.002 0.888 4.459
0.391 2.923 1.381
3.505 4.065 2.805
1.741 4.813 -3.228
-0.107 6.100 -0.273
2.230 1.692 -1.603
2.620 4.494 -0.221
1.275 2.494 4.407
-0.507 3.242 -1.688
3.134 1.265 1.492
0.762 5.723 2.694
0.000 0.000 0.000

=====

DFT (PBE) results for a relaxed LaAg2Mo crystal.

## Properties
SG = Cm (8)
E_form = 0.456 eV/atom
polymorph energy (0 for the lowest one) = 91.0 meV/atom

The structure in POSCAR format:
```
LaAg2Mo
1.0
5.0542 -1.4832 0.0000
5.0542 1.4832 0.0000
-0.9405 0.0000 5.5345
La Ag Mo
1 2 1
direct
0.0000 0.0000 0.0000
'''
## Back to the article

But, by figuring out how best to get their feedback (and when and how to provide communications about their matters) you will save yourself time and effort while delighting your client.

That will translate into happier (and more) clients, more work from them, more satisfied team members, and fewer write-offs / write-downs / discounts.

For more on how to scope matters - click here

The mindset you need

You are expert on the law; and your law firm has excellent systems for delivering that advice and guidance. Equally, your client is expert on their organization and the business realities they are facing.

Effective communication and feedback between these sets of experts is essential to deliver a solution the client is happy with (and will pay for). And a lot of communication is about the work (where is at? has it been started? who is reviewing the draft?) and about the plan for the work to come. By giving your client "view" access to the matter board (click here) they can see all of that at a glance.

To be excellent in the delivery of legal services your mindset needs to be:

Unrelated to this text: crystal structures:
'''
No. 1
! Dy2ErTm2Mg2 (PBE, optimized geometry); values from VASP
! Formation enthalpy at 0 K, meV/atom: -16
! Theoretical density, g cm⁻³: 7.306
! Crystal system: trigonal
&SYSTEM
  ibrav = 0, nat = 7, ntyp = 4
/
ATOMIC_SPECIES
Dy 162.50 Dy.upf
Er 167.26 Er.upf
Tm 168.93 Tm.upf
Mg 24.30 Mg.upf
ATOMIC_POSITIONS angstrom
Dy -4.0565 -2.7730 4.4227
Dy -6.7164 -0.6075 5.0917
Er 0.0000 0.0000 0.0000
Tm -4.4348 0.5728 2.8166
Tm -6.3381 -3.9532 6.6978
Mg -8.7771 -1.9676 7.3112
Mg -1.9958 -1.4129 2.2032
CELL_PARAMETERS angstrom
-3.1940 -4.2310 0.9965
-0.3608 -1.9882 5.0013
-7.2182 2.8387 3.5167



No. 2
! PrMg2ScCd4 (PBE, optimized geometry); values from VASP
! Formation enthalpy at 0 K, meV/atom: -287
! Theoretical density, g cm⁻³: 6.118
! Crystal system: trigonal
&SYSTEM
  ibrav = 0, nat = 8, ntyp = 4
/
ATOMIC_SPECIES
Pr 140.91 Pr.upf
Mg 24.30 Mg.upf
Sc 44.96 Sc.upf
Cd 112.41 Cd.upf
ATOMIC_POSITIONS angstrom
Pr 0.0000 0.0000 0.0000
Mg -0.7698 -8.1943 -6.9431
Mg -0.2742 -2.7591 -2.3096
Sc -0.5220 -5.4767 -4.6264
Cd -2.0963 -7.9559 -4.2048
Cd 0.8247 -5.6832 -7.3700
Cd -1.8687 -5.2701 -1.8827
Cd 1.0523 -2.9975 -5.0479
CELL_PARAMETERS angstrom
-0.7325 -0.3827 -4.9864
3.2893 -2.5729 -2.8474
-3.6008 -7.9978 -1.4189



No. 3
! MnZnNiAs (PBE, optimized geometry); values from VASP
! Formation enthalpy at 0 K, meV/atom: -50
! Energy above the lowest structure with this stoichiometry, meV/atom: 13
! Theoretical density, g cm⁻³: 7.608
! Crystal system: orthorhombic
&SYSTEM
  ibrav = 0, nat = 8, ntyp = 4
/
ATOMIC_SPECIES
Mn 54.94 Mn.upf
Zn 65.41 Zn.upf
Ni 58.69 Ni.upf
As 74.92 As.upf
ATOMIC_POSITIONS angstrom
Mn 2.2508 0.0000 1.4112
Mn 0.5936 1.5919 6.0651
Zn 0.4521 0.0000 3.4963
Zn -1.2051 1.5919 8.1502
Ni 0.7221 0.0000 8.4120
Ni 2.3793 1.5919 3.7580
As -1.3366 0.0000 5.7551
As 0.3206 1.5919 1.1012
CELL_PARAMETERS angstrom
3.8152 0.0000 -0.2088
0.0000 3.1838 0.0000
-3.3144 0.0000 9.3079



| no. | Fermi-level density of states (states/eV per cell) |
| --- | --- |
| 1 | 8.7 |
| 2 | 3.0 |
| 3 | 6.0 |

=====

*one*
AlHCl3 | PBE-GGA | relaxed

extended XYZ file:
```
5
Lattice="4.689 0.000 0.000 0.000 4.689 0.000 0.000 0.000 4.689" Properties=species:S:1:pos:R:3 pbc="T T T"
Al 0.000 0.000 0.000
Cl 2.344 0.000 0.000
Cl 0.000 0.000 2.344
Cl 0.000 2.344 0.000
H 2.344 2.344 2.344
```

Summary:
* crystal system: cubic



*two*
AlHCl3 | PBE-GGA | relaxed

extended XYZ file:
```
5
Lattice="4.375 0.000 0.000 0.000 4.375 0.000 0.000 0.000 4.375" Properties=species:S:1:pos:R:3 pbc="T T T"
Cl 0.000 2.188 0.000
Cl 0.000 0.000 2.188
Cl 2.188 0.000 0.000
Al 2.188 2.188 2.188
H 0.000 0.000 0.000
```

Summary:
* crystal system: cubic



*three*
AlHCl3 | PBE-GGA | relaxed

extended XYZ file:
```
20
Lattice="-7.183 0.997 0.846 0.086 -4.054 5.505 2.321 9.911 8.035" Properties=species:S:1:pos:R:3 pbc="T T T"
Cl -4.959 -0.990 7.548
Cl -1.215 0.900 5.606
Cl -3.562 5.954 8.780
Cl -1.463 4.316 6.216
Cl 0.323 2.517 8.617
Cl -5.100 4.337 5.769
Cl -2.458 -0.193 2.033
Cl -0.764 -2.918 4.738
'''
The text goes on:

Your client is THE expert on their world - and they like to be asked about it
Your matter management board is the main communication tool about the work
Ask open-ended, positive, questions: "What is working well?" "What would you like more of?"

Match the rhythm

You need to match the rhythm of your communication and seeking feedback to:

  • The specifics of the matter and the nature of the legal work
  • How your client likes to operate and what else is going on with them

The simplest approach is:

  • Provide online access to your task-management board (so the client can see where the work is at)

For more on task-management boards - click here

  • Have an initial conversation with your client to discuss how and when they would like to communicate / feedback regarding:
    • Work / task status
    • Billing / reporting

Records of crystals that have nothing to do with the entry:
-- begin --
DFT (PBE) results for a relaxed structure of NpI2Cl4.

Lattice parameters (Å, degrees): 5.1964 5.1964 26.3415 90.00 90.00 90.00
Last column: nearest neighbours and their distance in Å.
Space group I4/mmm (No. 139)
One atom of each set of equivalent atoms:
Np: 0.0000 0.0000 0.0000 (multiplicity 2)  6 Cl 2.48-2.60
I: 0.0000 0.0000 0.2503 (multiplicity 4)  4 I 3.67, 1 Cl 4.11
Cl: 0.0000 0.0000 0.0942 (multiplicity 4)  1 Np 2.48
Cl: 0.0000 0.5000 0.0000 (multiplicity 4)  2 Np 2.60

## Properties
density of states at the Fermi level	21.4	states/eV/cell
DFT total energy	-4.320	eV/atom
calculated volume	50.8	A^3/atom

---

DFT (PBE) results for a relaxed structure of NpICl.

Lattice parameters (Å, degrees): 5.0647 5.0650 8.0113 90.00 98.55 90.00
Last column: nearest neighbours and their distance in Å.
Space group P2_1/m (No. 11)
One atom of each set of equivalent atoms:
Np: 0.2499 0.2500 0.0000 (multiplicity 2)  4 Cl 2.91-2.92
I: 0.1866 0.7500 0.7297 (multiplicity 2)  4 Np 3.32, 5 Cl 3.59-3.65
Cl: 0.2929 0.7500 0.1822 (multiplicity 2)  4 Np 2.91-2.92

## Properties
density of states at the Fermi level	11.5	states/eV/cell
DFT total energy	-6.485	eV/atom
energy relative to the lowest polymorph listed for this composition	0.0	meV/atom
calculated volume	33.9	A^3/atom

---

DFT (PBE) results for a relaxed structure of NpI2Cl2.

Lattice parameters (Å, degrees): 9.7084 10.1732 4.4604 90.00 90.00 90.00
Last column: nearest neighbours and their distance in Å.
Space group Cmmm (No. 65)
One atom of each set of equivalent atoms:
Np: 0.0000 0.0000 0.0000 (multiplicity 2)  2 Cl 2.50
I: 0.0000 0.2085 0.5000 (multiplicity 4)  2 Np 3.08
Cl: 0.2429 0.5000 0.0000 (multiplicity 4)  1 Np 2.50

## Properties
density of states at the Fermi level	21.8	states/eV/cell
DFT total energy	-5.105	eV/atom
calculated volume	44.1	A^3/atom

---

DFT (PBE) results for a relaxed structure of NpICl2.

Lattice parameters (Å, degrees): 8.3414 11.9838 7.5493 90.00 120.67 90.00
Last column: nearest neighbours and their distance in Å.
Space group Cc (No. 9)
One atom of each set of equivalent atoms:
Np: 0.0000 0.0931 0.0000 (multiplicity 4)  4 Cl 2.72-2.73
I: 0.2587 0.4014 0.7061 (multiplicity 4)  2 Np 3.11
Cl: 0.1938 0.0595 0.8031 (multiplicity 4)  2 Np 2.72-2.73
Cl: 0.2603 0.2499 0.2339 (multiplicity 4)  2 Np 2.73

## Properties
density of states at the Fermi level	32.0	states/eV/cell
DFT total energy	-5.965	eV/atom
energy relative to the lowest polymorph listed for this composition	0.0	meV/atom
calculated volume	40.6	A^3/atom

---

DFT (PBE) results for a relaxed structure of Np2I2Cl3.

Lattice parameters (Å, degrees): 12.1113 4.3204 8.3465 90.00 113.68 90.00
Last column: nearest neighbours and their distance in Å.
Space group C2/m (No. 12)
One atom of each set of equivalent atoms:
Np: 0.1560 0.0000 0.2191 (multiplicity 4)  5 Cl 2.87-2.97
I: 0.1464 0.0000 0.8023 (multiplicity 4)  4 Np 3.28-3.60, 2 Cl 3.59
Cl: 0.0000 0.5000 0.0000 (multiplicity 2)  4 Np 2.97, 2 Cl 3.32
-- stop --


  • Client will use task-management board view to see where the work is at and what is coming up next
  • Weekly 20-minute call with lead Partner / Senior Associate to review that board
  • Monthly extra 20-minute call with lead Partner / Senior Associate to answer three questions: Does the work align to scope of work required? What is working well that we should do more of? Who is going to do what about scope? and work changes?
  • Document and share the results with your team
  • Make sure you act on the feedback you are getting

To see all the articles about matter delivery: click here